Wednesday, September 19, 2007

More on "Energizing Vibrancy"

Yesterday we mentioned Terry's comments on an Archdiocesan "planning" thing...

Terry's mention went national, and Welborn picked it up.

A couple of incisive comments regarding the Elmbrook/Willow Creek phenomenon:

The answer is not to attempt to simplistically and slavishly imitate the apparent success of these rapidly growing church plants, as tempting as it might be, since they are, indeed, growing, and so much of their growth comes from now-unchurched Catholics.

... don’t think the growth is going to bear lasting fruit, and reading in some of their own literature, you are starting to hear worrisome noises about this, too - concerns about lasting church committment or lifestyle change, concerns about young people, and so on. It’s definitely there. These rapidly-growing places are very “contemporary” in their feel (whatever that means - one person’s contemporary is another person’s “er…lame”), so where does that leave those who grow out of the desire to have worship that’s centered on that type of music and pop culture themes? They seem to be extraordinarly centered on the personalities of the leaders.

And harking back to a practice which is now, simply, NOT practiced:

Remember what parish boundaries are all about. They are not so much about where you have the responsibility to go to Mass. They are essentially about for whom the pastor (and others) have responsibility. That’s right. The pastor’s responsibility is to share Christ with the parish - which is not just the people who show up on Sundays - it’s every person who lives in those boundaries, Catholic or not. Yeah.

Not that long ago, the Pastor of a parish would personally conduct a census--by driving to a neighborhood and going door-to-door. They could either be seeing Catholic families, or "by accident," show up at a Lut'ran door.

Of course, there's "no time for that" these days, right?

...have planning meetings, chatting about vibrancy and diocesan wide-efforts to make everyone more aware of their Catholic identity actually borne much fruit? Or just more mission statements and information packets collecting dust in a bottom drawer?

Unrelated to this page: crystal structures:
-- begin --
#one
KCuPO4 | GGA-PBE | optimized geometry

Unit cell a=6.7998 b=6.8422 c=18.0687 alpha=90.00 beta=90.00 gamma=90.00
Last column: nearest neighbours and their distance in Å.
Fractional coordinates of all 56 atoms:
K1 0.0292 0.0118 0.1764  4 O 2.64-2.89
K2 0.0292 0.4882 0.6764  4 O 2.64-2.89
K3 0.4708 0.5118 0.1764  4 O 2.64-2.89
K4 0.4708 0.9882 0.6764  4 O 2.64-2.89
K5 0.5292 0.0118 0.3236  4 O 2.64-2.89
K6 0.5292 0.4882 0.8236  4 O 2.64-2.89
K7 0.9708 0.5118 0.3236  4 O 2.64-2.89
K8 0.9708 0.9882 0.8236  4 O 2.64-2.89
Cu1 0.2018 0.7248 0.5067  4 O 1.95-2.01
Cu2 0.2018 0.7752 0.0067  4 O 1.95-2.01
Cu3 0.2982 0.2248 0.5067  4 O 1.95-2.01
Cu4 0.2982 0.2752 0.0067  4 O 1.95-2.01
Cu5 0.7018 0.7248 0.9933  4 O 1.95-2.01
Cu6 0.7018 0.7752 0.4933  4 O 1.95-2.01
Cu7 0.7982 0.2248 0.9933  4 O 1.95-2.01
Cu8 0.7982 0.2752 0.4933  4 O 1.95-2.01
P1 0.0392 0.5193 0.8966  4 O 1.52-1.61
P2 0.0392 0.9807 0.3966  4 O 1.52-1.61
P3 0.4608 0.0193 0.8966  4 O 1.52-1.61
P4 0.4608 0.4807 0.3966  4 O 1.52-1.61
P5 0.5392 0.5193 0.6034  4 O 1.52-1.61
P6 0.5392 0.9807 0.1034  4 O 1.52-1.61
P7 0.9608 0.0193 0.6034  4 O 1.52-1.61
P8 0.9608 0.4807 0.1034  4 O 1.52-1.61
O1 0.0368 0.1945 0.5517  1 P 1.61
O2 0.0368 0.3055 0.0517  1 P 1.61
O3 0.0587 0.5889 0.8169  1 P 1.52
O4 0.0587 0.9111 0.3169  1 P 1.52
O5 0.1106 0.6524 0.0980  1 P 1.56
O6 0.1106 0.8476 0.5980  1 P 1.56
O7 0.2451 0.0327 0.4298  1 P 1.56
O8 0.2451 0.4673 0.9298  1 P 1.56
O9 0.2549 0.5327 0.4298  1 P 1.56
O10 0.2549 0.9673 0.9298  1 P 1.56
O11 0.3894 0.1524 0.0980  1 P 1.56
O12 0.3894 0.3476 0.5980  1 P 1.56
O13 0.4413 0.0889 0.8169  1 P 1.52
O14 0.4413 0.4111 0.3169  1 P 1.52
O15 0.4632 0.6945 0.5517  1 P 1.61
O16 0.4632 0.8055 0.0517  1 P 1.61
O17 0.5368 0.1945 0.9483  1 P 1.61
O18 0.5368 0.3055 0.4483  1 P 1.61
O19 0.5587 0.5889 0.6831  1 P 1.52
O20 0.5587 0.9111 0.1831  1 P 1.52
O21 0.6106 0.6524 0.4020  1 P 1.56
O22 0.6106 0.8476 0.9020  1 P 1.56
O23 0.7451 0.0327 0.0702  1 P 1.56
O24 0.7451 0.4673 0.5702  1 P 1.56
O25 0.7549 0.5327 0.0702  1 P 1.56
O26 0.7549 0.9673 0.5702  1 P 1.56
O27 0.8894 0.1524 0.4020  1 P 1.56
O28 0.8894 0.3476 0.9020  1 P 1.56
O29 0.9413 0.0889 0.6831  1 P 1.52
O30 0.9413 0.4111 0.1831  1 P 1.52
O31 0.9632 0.6945 0.9483  1 P 1.61
O32 0.9632 0.8055 0.4483  1 P 1.61

Summary:
**Space group**: Pbca
**Spin magnetization**: 8.00 μB per cell

***

#two
KCuPO4 | GGA-PBE | optimized geometry

Unit cell a=5.0852 b=9.6938 c=8.2347 alpha=90.00 beta=93.25 gamma=90.00
Last column: nearest neighbours and their distance in Å.
Fractional coordinates of all 28 atoms:
K1 0.2004 0.0000 0.2778  7 O 2.69-2.97
K2 0.2275 0.8428 0.7586  5 O 2.69-2.89
K3 0.7725 0.3428 0.2414  5 O 2.69-2.89
K4 0.7996 0.5000 0.7222  7 O 2.69-2.97
Cu1 0.2318 0.2026 0.9258  4 O 1.91-2.00
Cu2 0.3610 0.6077 0.4054  4 O 1.93-2.02
Cu3 0.6390 0.1077 0.5946  4 O 1.93-2.02
Cu4 0.7682 0.7026 0.0742  4 O 1.91-2.00
P1 0.2593 0.5209 0.0401  4 O 1.54-1.57
P2 0.2688 0.3025 0.5705  4 O 1.52-1.62
P3 0.7312 0.8025 0.4295  4 O 1.52-1.62
-- stop --

Because, see, that’s not the Catholic way, either - the way of evaluating the health and future of the Church via schematics and diagrams and planning packets either. The Catholic way is to imitate the saints, it seems to me. To preach, to teach, to gather the lost, to heal the sick, to be with the poor - to plunge into it.

Terry's trenchant request for "failure analysis" echoes in the above...

Is it the Age of Madison Avenue?

Which happens, I usually find, because people are relying on New Things and New Ideas and Exciting Paradigms instead of thinking - just a little bit - about what tradition has to teach us.

Ummmnnnnhhhhh....the Liturgeists' Revenge has roosted, folks.

In point of fact, it's exactly the Liturgeist's Revenge. A local parish organized a meeting with unhappy members (many of which were "Elmbrooking" part of the time) and got exactly what anyone would expect: install "greeters" at the front door, go "big" with Liturgical Production Values, and above all, Make It "Relevant," (whatever in Hell that may be.)

The Church's teachings are relevant--and they are vitally so.

Of course, pastors have to actually TEACH those teachings once in a while, too.

# Data records from another source follow
┌──
# Li3MnVP3O12 | the Materials Project database | PBE with a Hubbard U | optimized geometry
data_Li3MnVP3O12
_chemical_formula_sum 'Li24 Mn8 V8 P24 O96'
_symmetry_space_group_name_H-M 'C 1 2 1'
_symmetry_Int_Tables_number 5
_cell_length_a 14.1546
_cell_length_b 13.7641
_cell_length_c 9.9360
_cell_angle_alpha 90.00
_cell_angle_beta 94.81
_cell_angle_gamma 90.00
loop_
_symmetry_equiv_pos_as_xyz
'x,y,z'
'-x,y,-z'
'x+1/2,y+1/2,z'
'-x+1/2,y+1/2,-z'
loop_
_atom_site_label
_atom_site_fract_x
_atom_site_fract_y
_atom_site_fract_z
Li1 0.1420 0.0000 0.4782
Li2 0.1476 0.3819 0.1088
Li3 0.1517 0.2193 0.6120
Li4 0.1607 0.5917 0.9825
Li5 0.1886 0.8445 0.6799
Li6 0.2355 0.5817 0.2570
Mn1 0.0000 0.0423 0.0000
Mn2 0.0000 0.7692 0.5000
Mn3 0.1012 0.1601 0.2219
V1 0.0000 0.5489 0.5000
V2 0.0000 0.8241 0.0000
V3 0.1157 0.4385 0.7187
P1 0.0095 0.9534 0.7015
P2 0.0135 0.6288 0.2006
P3 0.1062 0.3586 0.3976
P4 0.1135 0.2336 0.8937
P5 0.1949 0.9456 0.0751
P6 0.2082 0.6412 0.5790
O1 0.0206 0.9369 0.8614
O2 0.0234 0.7260 0.8669
O3 0.0247 0.1613 0.8732
O4 0.0249 0.4380 0.3728
O5 0.0272 0.6455 0.3575
O6 0.0480 0.8698 0.3654
O7 0.0493 0.0474 0.3320
O8 0.0662 0.2564 0.3641
O9 0.0686 0.5531 0.8310
O10 0.0791 0.3353 0.8422
O11 0.1077 0.5970 0.1521
O12 0.1108 0.9604 0.6571
O13 0.1287 0.0390 0.0750
O14 0.1305 0.8527 0.0453
O15 0.1380 0.5513 0.5841
O16 0.1410 0.2431 0.0478
O17 0.1415 0.3571 0.5511
O18 0.1513 0.7357 0.5648
O19 0.1834 0.3867 0.3058
O20 0.1889 0.1923 0.8094
O21 0.2283 0.1186 0.5357
O22 0.2316 0.1461 0.2821
O23 0.2369 0.4643 0.0329
O24 0.2461 0.9348 0.2163
# * energy: -140.0 eV per formula unit
# * energy of formation: -52.0 eV/f.u.
# * distance to the lowest polymorph of the same formula: 54 meV/atom
# * crystal system: monoclinic

# Li3MnVP3O12 | the Materials Project database | PBE with a Hubbard U | optimized geometry
data_Li3MnVP3O12
_chemical_formula_sum 'Li6 Mn2 V2 P6 O24'
_symmetry_space_group_name_H-M 'P 1'
_symmetry_Int_Tables_number 1
_cell_length_a 8.4003
_cell_length_b 8.4263
_cell_length_c 9.2743
_cell_angle_alpha 90.26
_cell_angle_beta 116.79
_cell_angle_gamma 119.78
loop_
_symmetry_equiv_pos_as_xyz
'x,y,z'
loop_
_atom_site_label
_atom_site_fract_x
_atom_site_fract_y
_atom_site_fract_z
Li1 0.0000 0.0000 0.0000
Li2 0.1039 0.4787 0.2140
Li3 0.2681 0.4700 0.5377
Li4 0.4470 0.0530 0.2595
Li5 0.6622 0.4025 0.9859
Li6 0.8718 0.8064 0.2774
Mn1 0.3593 0.8858 0.5714
Mn2 0.7856 0.5947 0.6967
V1 0.3731 0.3964 0.0908
V2 0.7406 0.0751 0.1603
P1 0.2537 0.1937 0.3713
P2 0.2758 0.9979 0.8853
P3 0.5628 0.6861 0.8891
P4 0.5652 0.7798 0.3741
P5 0.8488 0.4687 0.3713
P6 0.8629 0.2738 0.8792
O1 0.0593 0.2503 0.9622
O2 0.0612 0.2233 0.3013
O3 0.0663 0.8810 0.8826
O4 0.0708 0.5730 0.3862
O5 0.1729 0.9891 0.3827
O6 0.2666 0.9632 0.7224
O7 0.3184 0.2067 0.2330
O8 0.3771 0.2185 0.9593
O9 0.3889 0.5684 0.2385
O10 0.4112 0.5592 0.9528
O11 0.4292 0.3537 0.5364
O12 0.4300 0.6995 0.7180
O13 0.4329 0.8578 0.3682
O14 0.4421 0.9605 0.0278
O15 0.6828 0.1155 0.7170
O16 0.6857 0.6020 0.8847
└──


  1. When I started going to the Church I go to here in GB, members of the Church used to drop of notes, or cookies or the banana bread one lady left witrh a nice note. Then, I was asked to greet and usher. Next thing, a men's accountability group. There is a lot of this sort of thing at my Church, lead by either the senior Pastor or his assistant. I never saw anything like this from the Catholic Church in my life.

  2. I think one of the reasons for such strong church commitment in the past with the mega-churches is that the people there actually built the church. When your money and sweat erected or purchased the building, it means a lot more to you.

    Perhaps we are beginning to see a trend with the Elmbrooks that has been a Catholic problem for a while, a lack of ownership on behalf of the people. And this "Vibrancy" plan does not address that issue.

  3. There's been plenty of building in Catholic parishes, too, but often on the theory that if "vibrant" communities are putting up buildings, putting up a building will make a community "vibrant".

  4. Billiam--the RC parishes all used to have very active societies--usually one for the men, one for the women, and a couple of 'mixed' groups--all heavily promoted by the Pastor. Various reasons for the existence of the societies, (school athletics, charity, etc.) beyond the ushers, choir members, and so forth.

    Now pastors don't promote those organizations, or do so with a "note" in the Bulletin. They don't make a point of getting children into the parish school (matter of fact, Abp Weakland made that a VERY difficult thing to do.)

    Ah, well. At some point, that will turn around.

  5. Dad-
    What are your feelings of public sector vs private sector unions?

    In Oshkosh, our city workers insist of having property taxpayers fund 95% of their healthcare costs, and on top of that, provide them with a 3% wage increase.

    Most of us average blue collar workers are lucky to have our employers fund 80% of our healthcare costs. Many of my friends have little or no healthcare coverage, but as a property taxpayer, they have to pay for 95% of the city workers healthcare coverage.


  6. Yes, anony, I have a comment.

    You're on the wrong post. Stay with the topic, please.

  7. I remember 3 non-church interactions with priests from my youth. 4th grade, Father John, just back from a mission trip to Central America, asked me to help him remodel two lower school rooms. For a kid with no Dad, that was pretty special. Freshman year, Father Mason, later removed for molesting male students, was poking me in the chest and yelling at me. I told him I'd knock him on his butt(not the word I used) if he did it again. I was suspended for 3 days. Then, Father Bob. junior and senior year. Pardon the term, but he was a hell of a guy. Real cool to us. After that, not much from the church. Then the hypocrisy started getting worse, then the politics. I went Casper, never to return.

  8. There is a definite 'corporate feel' about all of this: strategy meetings, mission statements, Powerpoint presentations, stats, being 'proactive' etc. etc. etc.

    In the corporate world there were always those who felt they were only 'fulfilled' when they were having lots of meetings. Then there were those who actually worked...

    We need more people, clerical and lay, who actually work and pray for their salvation and that of others.
